Monday, May 26, 2008

Sorry for the Absence

Everything is going great here with eating raw and jogging. I have learned how important it is to have a partner to go out jogging with. One day I went out without my big helper and boy was it harder. Having her with me helps so much it is just amazing. We really encourage and push each other to try harder and do our best. The other day I mapped out a four mile course to try jogging and on Saturday night we set out to do our longest jog to date. The goal was to jog the entire 4 miles without stopping. As we came to the end of 2 miles and tured around I began to question my sanity. What was I thinking? I talked myself into keeping it up through three miles since I knew that I could do at least that much. As soon as we turned the corner which marked the completion of three miles and one left to go my legs all of the sudden got so heavy. It was like they were saying "hold up there, we did three miles, that's it, I'm done!" I think our bodies get accustomed to what we ask of them and don't want to do any more. We both pushed through that last mile and were very happy to have jogged for 4 miles without stopping. I want to try to do that more often if possible and keep upping the ante, so to speak, to go further and jog faster. June is going to be tough because my husband will be traveling a lot on business so I won't be able to go out to jog. We are going to have to take turns onthe treadmill which I do not like because it sort of skips and it's just not nearly as nice jogging on a treadmill in the basement as jogging on our lovely raod in the fresh air. I've got to figure something out though. I don't want to lose what we have accomplished.
Eating has been great. I am mostly enjoying fruits and salads and smoothies. Geting fresh greens from the CSA has been delightful and yummy. I love this time of year when everything comes alive and the weather is warmer. I am still anxiously awaiting June when the delicious local strawberries will be ready to pick. Yumm! They are so good! I have lost a total of 26.5 pounds in the 6 weeks since recommiting myself to raw foods and taking up jogging. I am very excited about that and looking forward to being able to fit into some more of my clothes in the next month or two.

Wednesday, May 14, 2008

Oops I did it again!

..............jogged the whole three miles that is! Woooohooooooooooooo!!!! Iam just so thrilled about this. It felt so good to be able to jog the whole way without stopping again. We we even able to pick up our speed a bit, it didn't take as long to accomplish the jog, and it wasn't as hard as it was last time. It was pretty cool. I felt like I had to jog the whole way again tonight. I felt like if I didn't then the fact that I did it before would be some sort of fluke or something, like it was just luck. I really think jogging the hill helped quite a bit so I want to try to do that once a week. It made the other hills along the three miles easier to manage. It is really just an amazing feeling and I am quite proud of myself for being able to do it again. And my big helper, I am immensly proud of her, beyond what words can express!!

It is so cool how my exercising affects my eating. I don't want to eat SAD garbage because I know that it will affect my jogging. It's a really weird thing for me. I am so happy with what I have been able to do so far that I don't want anything to mess it up. It's like, I don't want to eat that BP&J because then I may not be able to jog as well, ect.

Ok, I promise that I will post some pictures soon. I have lots of yummy food pictures to post, I will do it soon! Right now I am tired and that is all for now.

Saturday, May 10, 2008

Amazing news!!!!

I am so excited right now that I can hardly conatin myself! Yesterday we went out for our usual jog. As I said in my last blog post we added an extra mile to the entire distance bringing it up to just about 3.2 miles. Last night we went out for our customary jog. Since I had already jogged a full mile I wanted to at least go that far. Once we had gotten to the end of the road I decided to turn the corner and head up the hill jogging to see how far I could go. When I got up the hill I figured I might as well continue down the hill as well and then there was a nice straight-away for the next half mile so I kept on going. Once we got to the mile and a half turnaround I was pretty spent and really ready to stop, so I asked my big helper if she was ready to take a break but she said she wanted to keep going so I (reluctantly) followed along and kept on jogging. By the time we got back to the hill we were so close to the two mile mark that I pushed really hard and we made it the full two miles jogging without stopping! I even kept going a little wasy further until we came to another big hill and that was all she wrote. The last mile we jogged and walked, doing more jogging than walking. This is just so incredible for me I can't even explain it. I could never run a whole mile before, not even when I was in high school and we had to run a timed mile. I could never go the whole distance without stopping and I was a good 40-50 pounds lighter then than I am now. After we jogged the first two miles I felt like breaking out in praise and worshop songs, I was just so elated! This was a huge milestone for me. So tonight we went out for our jog again and I was hoping to be able to go at least the first two miles again without stopping. My ankles hurt really bad and I wasn't comfortable jogging for at least the first half mile. I really wanted to stop after the first mile was gone but I kept on going to the one and a half mile marker and then I really wanted to stop but once again my big helper said she wasn't tired and kept going so I followed along. We made it to the end of two miles and kept on going. I jokingly called out to my big helper and asked her if she was trying to go all the way to which she replied yes and told me I could stop if I wanted to. Well I'd come this far, might as well push through to the end. I am so very, VERY happy to report that we jogged the ENTIRE three miles without stopping once. This is so incredible and amazing for me and I am so proud of my big helper and how well she is doing too. Tomorrow we are going to take a break from the three mile distance run and do some hills to try and build up our leg strength. Right now I am tired and sore and happy!

Thursday, May 8, 2008

I have a confession to make

OK, here goes...are you ready for it..... I am oranges! Phew, I feel better now that I got that off my chest. I can't get enough of their juicy delicious orange goodness. I could just eat them all day long. Oh, they are so yummy.

The other day I made some really amazing dip that I am calling Green Goodness dip. I originally intended to use it to dip baby carrots and cut up cukes in but I still had some fresh greens from my wonderful CSA farm so I added a bit more vinegar to the dip and Voila! salad dressing. It was really good!

Last night we upped our jog. I added a little over 1/2 mile one way so our total round trip is just about 3.2 miles. Perfect for getting ready for the 5K. I was able to jog almost the whole entire first mile!! I am so please with this. It is really amazing how much progress we have made in such a short amount of time. By going further last night we both ended up jogging about two miles total, maybe more. I am so excited about this! I can feel it getting easier each time I go out and I am able to go up some of the hills now too. I am not nearly so out of breath and wheezy and gaspy afterwards either. Yippee!!!

Tomorrow I am getting my case of oranges in. They better be tasty! The co-op lady said that they were sweet like candy so if a SAD food eater thinks they are sweet I'm sure I will too. I am a very big orange snob though. I only like certain ones. I will keep you posted!

Have a great raw day everyone.

Monday, May 5, 2008



I know it's been awhile since I have posted, but I am still staying on track. I had to work through some stuff last week that I found rather interesting so I thought I would share it here.

I had some very bad cravings last week. It was really cold here and the weather really affected me. I wanted some nice warm soup and bread. I struggled very badly through Tues, Wed, and Thurs. to the point where I finally told my husband that I felt like I was doing raw against my will. I know that sounds kind of odd huh? What I meant is that I know that raw works for me and it makes me feel great. I lose weight and feel alive and healthy. But it can be so hard. Sometimes I feel trapped by my food choices, or rather by what I choose not to eat. It is sort of hard to explain but in essence I was having a hard time last week and literally took it one day at a time, complimenting myself on each day I made it through. I am not the kind of person that can just have a little cooked stuff. One bite sends me over the edge and I eat everything! I wish I had the self control as some of you who can eat some SAD and then jump right back into raw. I can't do that and end up having a series of "last suppers" before getting back under control, usually a month later. So anyways I really struggled through Tues, Wed, and Thurs and just had an awful hard time with it. Then I woke up Friday morning and it was gone. There was no more battling or struggle. I was happy on raw again and didn't want to eat SAD! Yippee! I am happy to have made it over that hurdle which will only fuel me through the next one and with each obstacle I overcome I will be better equipped to handle the next.

Another interesting thing I noticed, my husband told me that he needs to go on a business trip in June. He will be gone for a total of three weeks. Originally it was just two weeks, but now it has been bumped up. When he told me I was very upset. All I wanted to do was eat something. Pizza, chips, ice cream, whatever. I wanted to stuff my sadness in food. Then I started planning in my head all the food I would make and eat while he was gone. Mind you, this was not a good list like mangoes, avocadoes, raw crackers, but rather a bad food list. I stood there literally battling within myself for ten minutes before I came out of it, and thankfully I didn't eat anything bad for me. I am obviously a very emotional eater and I still think I will have a hard time while he is away. I would much rather focus on what I can do fun with the childern while he is away and get some exercise too. That also is one of the (many) reasons that I was upset. While he is gone I can not go out jogging at all and I want to be able to do that 5K on the 4th of July. So I need to figure how I can get ready for that with him being gone. Any recomendations would be highly appreciated!

Also I did a lot of browsing this past week at other raw sites. While looking at Heidi and Justins blog at I decided to research some local CSA's and found a super little farm. I am so excited about getting fresh produce this summer from them. We went out there this morning to check it out and they are so amazing! They are growing a huge variety of food and are trying to be as self sustaining as possible. I left with a strong desire to get a greenhouse and a bag of salad greens which I am presently enjoying. I want to look into greenhouses more. It would be so amazing to be able to grow food year round and not have to buy it from the store. They even had an avocado tree! It takes 9 years for them to produce fruit but once they start they produce a lot! That would just be so amazing. I also found a co-op locally that I ordered a case of oranges through. It was a really good deal, 56 oranges for $29.00. I will get those on Friday.

Someone pasted crystal structures at this point:
........
No. 1
A crystal of Ho5Mg relaxed with PBEsol. Source: Alexandria via LeMat-Bulk, functional meta-GGA SCAN.

It has space group R32 (No. 155, hexagonal axes), with a = 5.9904 Å, b = 5.9904 Å, c = 16.3194 Å, α = 90.00°, β = 90.00° and γ = 120.00°. The distinct sites, in fractional coordinates, are Ho at (0.0000, 0.0000, 0.1674), Ho at (0.0000, 0.6605, 0.0000) and Mg at (0.0000, 0.0000, 0.5000).

As for the formation energy: 0.81 kJ per mole of atoms. Its energy above the most stable polymorph in this dataset is 0.002 eV per atom.


No. 2
A crystal of SrYRh3 relaxed with PBEsol. Source: Alexandria via LeMat-Bulk, functional meta-GGA SCAN.

It has space group Pm-3m (No. 221), with a = 4.8006 Å, b = 4.8006 Å, c = 4.8006 Å, α = 90.00°, β = 90.00° and γ = 90.00°. The distinct sites, in fractional coordinates, are Sr at (0.0000, 0.0000, 0.0000), Y at (0.5000, 0.5000, 0.5000) and Rh at (0.0000, 0.0000, 0.5000).

As for the formation energy: 99.86 kJ per mole of atoms.


No. 3
A crystal of TmMn6Ge6 relaxed with PBEsol. Source: Alexandria via LeMat-Bulk, functional meta-GGA SCAN.

It has space group P6/mmm (No. 191), with a = 5.0738 Å, b = 5.0738 Å, c = 8.0082 Å, α = 90.00°, β = 90.00° and γ = 120.00°. The distinct sites, in fractional coordinates, are Tm at (0.0000, 0.0000, 0.0000), Mn at (0.0000, 0.5000, 0.2500), Ge at (0.0000, 0.0000, 0.3435), Ge at (0.3333, 0.6667, 0.0000) and Ge at (0.3333, 0.6667, 0.5000).

As for the formation energy: -43.00 kJ per mole of atoms.


No. 4
A crystal of Te2RhPb relaxed with PBEsol. Source: Alexandria via LeMat-Bulk, functional meta-GGA SCAN.

It has space group Imm2 (No. 44), with a = 3.3005 Å, b = 4.7822 Å, c = 12.3668 Å, α = 90.00°, β = 90.00° and γ = 90.00°. The distinct sites, in fractional coordinates, are Te at (0.0000, 0.0000, 0.0000), Te at (0.0000, 0.5000, 0.1894), Rh at (0.0000, 0.0000, 0.5222) and Pb at (0.0000, 0.5000, 0.8223).

The uncorrected formation energy is -68 meV/atom.


No. 5
A crystal of CaCrSi4O10 relaxed with PBEsol. Source: Alexandria via LeMat-Bulk, functional meta-GGA SCAN.

It has space group P4/ncc (No. 130, origin choice 2), with a = 7.3723 Å, b = 7.3723 Å, c = 15.2034 Å, α = 90.00°, β = 90.00° and γ = 90.00°. The distinct sites, in fractional coordinates, are Ca at (0.2500, 0.7500, 0.0000), Cr at (0.2500, 0.2500, 0.0795), Si at (0.0014, 0.0764, 0.3530), O at (0.0022, 0.1486, 0.0809), O at (0.0021, 0.7047, 0.6261) and O at (0.0422, 0.5422, 0.2500).

The uncorrected formation energy is -2995 meV/atom.


No. 6
A crystal of CaInPb2 relaxed with PBEsol. Source: Alexandria via LeMat-Bulk, functional meta-GGA SCAN.

It has space group Cm (No. 8), with a = 11.3928 Å, b = 3.6972 Å, c = 5.5448 Å, α = 90.00°, β = 105.78° and γ = 90.00°. The distinct sites, in fractional coordinates, are Ca at (0.0000, 0.0000, 0.0000), In at (0.2517, 0.0000, 0.7358), Pb at (0.0101, 0.5000, 0.5082) and Pb at (0.2585, 0.5000, 0.2511).

As for the formation energy: -31.32 kJ per mole of atoms.


No. 7
........
The entry goes on:

So, I guess that is all. I am off now to research greenhouses!
Have a great raw day.